Multimodal Routing Parameters#
These parameters are read in in the Routable_Network_Methods.h header file.
Category |
Parameter Name |
Description |
Default |
Data Type |
transferPenalty |
Penalty of making a transfer during a transit journey in seconds |
1020.0 |
float |
waitWeight |
Factor that adjusts the importance of waiting time (for a bus) relative to the objective passage of time, studies show that it is usually higher than 1.0 due to perceived or real uncertainty of transit vehicle arrival, as well as weather, discomfort etc. |
3.00 |
float |
walkWeight |
Factor that adjusts the importance of walking time (to a bus or to destination) relative to the objective passage of time, studies show that it is usually higher than 1.0 due to fatigue, walking conditions, weather etc. |
4.00 |
float |
bikeWeight |
Factor that adjusts the importance of biking time (to a bus or to destination) relative to the objective passage of time, studies show that it is usually higher than 1.0 due to fatigue, biking conditions, weather etc. |
3.00 |
float |
ivtWeight |
Factor that adjusts the importance of in-transit-(bus)-vehicle travel time relative to the objective passage of time, studies show that it is usually 1.0 or less then 1.0, as driving is associated with 1.0 and not having to drive reduces the time penalty |
1.00 |
float |
rail_waitWeight |
Factor that adjusts the importance of waiting time for rail relative to the objective passage of time, studies show that it is usually higher than 1.0 due to perceived or real uncertainty of transit vehicle arrival, as well as weather, discomfort etc. but also lower than waiting for a bus due to better sheltering |
2.00 |
float |
rail_walkWeight |
Factor that adjusts the importance of walking time to a rail station relative to the objective passage of time, studies show that it is usually higher than 1.0 due to fatigue, walking conditions, weather etc. but also lower than walking to a bus as travelers seem to accept the additional discomfort for faster service |
2.66 |
float |
rail_bikeWeight |
Factor that adjusts the importance of biking time to a rail station relative to the objective passage of time, studies show that it is usually higher than 1.0 due to fatigue, biking conditions, weather etc. but also lower than biking to a bus as travelers seem to accept the additional discomfort for faster service |
2.00 |
float |
rail_ivtWeight |
Factor that adjusts the importance in-rail travel time relative to the objective passage of time, studies show that it is usually 1.0 or less then 1.0, as driving is associated with 1.0 and not having to drive reduces the time penalty, and it is also usually lower than bus due to additional comfort |
0.80 |
float |
rail_ivtWeight_ampeak |
Same as rail_ivtWeight and only used if there is additional observation that travelers have a more significant positive bias for real during the AM peak, most likely to avoid the traffic congestion in a car or in a bus |
0.80 |
float |
rail_ivtWeight_pmpeak |
Same as rail_ivtWeight and only used if there is additional observation that travelers have a more significant positive bias for real during the PM peak, most likely to avoid the traffic congestion in a car or in a bus |
0.80 |
float |
standWeight |
Additional discomfort added to ivtWeight or rail_ivtWeight if the passenger is standing, as this would substantially reduce comfort |
0.50 |
float |
capacityAlpha |
Capacity penalty calculation is an exponential function. The penalty itself is in seconds and reflects the additional discomfort due to the crowdedness of a vehicle. See the documentation for more details. Higher value implies very low penalty below the load threshold and very high penalty above the load threshold. Low value linearizes the penalty with respect to the vehicle load |
80.00 |
float |
capacityBeta |
Capacity penalty calculation is an exponential function. The penalty itself is in seconds and reflects the additional discomfort due to the crowdedness of a vehicle. See the documentation for more details. This value determines the relative load threshold. 0.60 implies that if the vehicle becomes 60% full it starts getting really uncomfortable. |
0.60 |
float |
carWeight |
Factor that adjusts the importance of driving time to transit relative to the objective passage of time. A very high value is suggested so that the park-and-ride travelers drive to a nearby station instead of driving all the way through to a train station that is very close to their actual destination. |
15.00 |
float |
tncWeight |
Factor that adjusts the importance of in-TNC-vehicle travel time to transit relative to the objective passage of time. A very high value is suggested so that the TNC-and-ride travelers spend less time in a TNC vehicle and more time in a transit vehicle |
15.00 |
float |
scanThreshold |
The number of total link scans before the routing algorithm terminates |
75000 |
double |
costThreshold |
The generalized cost threshold to termninate the routing algorithm |
28800 |
double |
commuter_rail_costThreshold |
The generalized cost threshold to termninate the routing algorithm if the mode is drive-to-transit or drive-from-transit |
28800 |
double |
waitThreshold |
Maximum non-rail waiting time for a single transit leg |
**Here the text breaks off for materials data**
+++
1) This record from the Materials Project database describes MgCr2Cl4O4 after structural relaxation. The functional is PBE+U.

a = 6.076 Å, b = 6.500 Å, c = 7.127 Å
α = 102.37°, β = 92.01°, γ = 88.62°
Fractional coordinates of all 11 atoms:
Mg: 0.903 0.178 0.410
Cr: 0.332 0.344 0.712
Cr: 0.805 0.653 0.283
Cl: 0.427 0.117 0.885
Cl: 0.945 0.881 0.122
Cl: 0.494 0.209 0.431
Cl: 0.906 0.852 0.565
O: 0.435 0.569 0.801
O: 0.923 0.417 0.272
O: 0.066 0.328 0.643
O: 0.543 0.665 0.268

Values from the calculation:
Magnetic moment: 0.182 μB per atom
Space group: P1 (1)
Volume: 24.98 Å³/atom

---

2) This record from the Materials Project database describes MgCr2Cl4O4 after structural relaxation. The functional is PBE+U.

a = 5.601 Å, b = 6.934 Å, c = 6.988 Å
α = 101.86°, β = 89.72°, γ = 89.32°
Fractional coordinates of all 11 atoms:
Mg: 0.722 0.183 0.164
Cr: 0.327 0.346 0.729
Cr: 0.795 0.664 0.277
Cl: 0.465 0.107 0.884
Cl: 0.947 0.876 0.100
Cl: 0.430 0.182 0.418
Cl: 0.945 0.793 0.558
O: 0.463 0.549 0.806
O: 0.894 0.430 0.207
O: 0.040 0.348 0.744
O: 0.513 0.698 0.288

Values from the calculation:
Magnetic moment: 0.182 μB per atom
Space group: P1 (1)
Volume: 24.14 Å³/atom

---

Ranked by calculated energy, most stable first: 1), 2).

---

1) This record from the Materials Project database describes Y6MgMn6O18 after structural relaxation. The functional is PBE+U.

a = 6.209 Å, b = 6.199 Å, c = 12.318 Å
α = 90.21°, β = 89.57°, γ = 120.05°
Fractional coordinates of all 31 atoms:
Y: 0.663 0.337 0.225
Y: 0.332 0.664 0.735
Y: 0.668 0.336 0.735
Y: 0.326 0.663 0.225
Y: 0.008 0.000 0.819
Y: 0.998 0.000 0.271
Mg: 0.012 0.000 0.610
Mn: 0.635 0.000 0.495
Mn: 0.655 0.660 0.006
Mn: 0.995 0.340 0.006
Mn: 0.005 0.630 0.481
Mn: 0.374 0.370 0.480
Mn: 0.348 0.000 0.007
O: 0.667 0.337 0.025
O: 0.343 0.671 0.529
O: 0.671 0.329 0.529
O: 0.330 0.663 0.025
O: 0.004 0.000 0.992
O: 0.999 0.000 0.460
O: 0.372 0.000 0.848
O: 0.357 0.362 0.317
O: 0.995 0.638 0.317
O: 0.994 0.358 0.847
O: 0.635 0.642 0.847
O: 0.623 0.000 0.338
O: 0.310 0.000 0.160
O: 0.288 0.286 0.682
O: 0.002 0.714 0.682
O: 0.991 0.301 0.160
O: 0.691 0.699 0.160
O: 0.709 0.000 0.663

Values from the calculation:
Magnetic moment: 0.838 μB per atom
Space group: Cm (8)
Volume: 13.24 Å³/atom

---

2) This record from the Materials Project database describes Y6MgMn6O18 after structural relaxation. The functional is PBE+U.

a = 6.229 Å, b = 6.338 Å, c = 11.913 Å
α = 90.65°, β = 88.68°, γ = 119.43°
Fractional coordinates of all 31 atoms:
Y: 0.651 0.328 0.268
Y: 0.343 0.671 0.775
Y: 0.672 0.329 0.775
Y: 0.322 0.672 0.268
Y: 0.010 0.000 0.731
Y: 0.985 0.000 0.193
Mg: 0.959 0.000 0.416
Mn: 0.520 0.000 0.520
Mn: 0.655 0.654 0.997
Mn: 0.000 0.346 0.997
Mn: 0.983 0.627 0.508
Mn: 0.356 0.373 0.508
Mn: 0.339 0.000 0.998
O: 0.673 0.341 0.977
O: 0.311 0.647 0.472
O: 0.664 0.353 0.472
O: 0.331 0.659 0.978
O: 0.980 0.000 0.015
O: 0.140 0.000 0.543
O: 0.313 0.000 0.826
O: 0.263 0.286 0.345
O: 0.978 0.714 0.345
O: 0.009 0.311 0.837
+++
1800 |
double |
rail_waitThreshold |
Maximum rail waiting time for a single transit leg |
2700 |
double |
walkThreshold |
Maximum total walking distance for the entire route |
• Attached: materials data:
~~~
No. 1
meta-GGA r2SCAN CaIn4Ir, optimized geometry; crystal system = orthorhombic
1.0
-2.996 1.926 -2.352
1.097 -4.989 -5.481
-6.083 -5.186 3.503
In Ir Ca
8 2 2
Direct
0.500 0.686 0.065
0.500 0.314 0.565
0.500 0.933 0.750
0.500 0.686 0.435
0.000 0.000 0.000
0.500 0.314 0.935
0.500 0.067 0.250
0.000 0.000 0.500
0.000 0.194 0.750
0.000 0.806 0.250
0.000 0.402 0.250
0.000 0.598 0.750


No. 2
meta-GGA r2SCAN Ca19In8N7, optimized geometry; crystal system = cubic
1.0
0.000 7.352 7.352
7.352 0.000 7.352
7.352 7.352 0.000
In N Ca
8 7 19
Direct
0.825 0.825 0.825
0.175 0.175 0.175
0.825 0.825 0.526
0.175 0.175 0.474
0.526 0.825 0.825
0.175 0.474 0.175
0.474 0.175 0.175
0.825 0.526 0.825
0.674 0.326 0.326
0.000 0.000 0.000
0.326 0.674 0.674
0.674 0.674 0.326
0.326 0.326 0.674
0.674 0.326 0.674
0.326 0.674 0.326
0.500 0.827 0.500
0.500 0.500 0.173
0.500 0.173 0.500
0.166 0.834 0.166
0.827 0.500 0.500
0.827 0.173 0.500
0.500 0.827 0.173
0.173 0.500 0.827
0.827 0.500 0.173
0.834 0.166 0.834
0.500 0.500 0.827
0.834 0.166 0.166
0.166 0.834 0.834
0.834 0.834 0.166
0.173 0.827 0.500
0.500 0.173 0.827
0.500 0.500 0.500
0.166 0.166 0.834
0.173 0.500 0.500


No. 3
meta-GGA r2SCAN CaIn4Ni, optimized geometry; crystal system = orthorhombic
1.0
-1.376 2.697 3.225
-3.100 -5.672 3.421
7.776 -2.711 2.552
Ca In Ni
2 8 2
Direct
0.875 0.250 0.751
0.125 0.750 0.249
0.073 0.250 0.145
0.688 0.452 0.376
0.688 0.048 0.376
0.312 0.952 0.624
0.500 0.500 0.000
0.927 0.750 0.855
0.500 0.000 0.000
0.312 0.548 0.624
0.774 0.750 0.548
0.226 0.250 0.452


Number 1: electronic total energy -25.4196 eV/atom, ρ 8.229 g/cm³. Number 2: electronic total energy -11.9673 eV/atom, ρ 3.715 g/cm³. Number 3: electronic total energy -18.5941 eV/atom, ρ 6.874 g/cm³.


a.
The following is a DFT calculation (PBE) of crystalline ZnAg2O4 at its relaxed geometry.

Computed properties:
Size of the total moment (μB/atom): 0.000

```
14
Lattice="-3.2303 3.3812 4.1135 3.2303 -3.3812 4.1135 3.2303 3.3812 -4.1135" Properties=species:S:1:pos:R:3 pbc="T T T"
Zn -1.6152 1.6906 2.0568
Zn 1.6152 1.6906 2.0568
Ag 0.0000 0.0000 0.0000
Ag 3.2303 1.6906 -1.2431
Ag 0.0000 3.3812 0.0000
Ag 0.0000 1.6906 5.3567
O 1.3538 1.6906 -0.0834
O 1.8765 -1.6906 4.0301
O 0.0000 0.3352 2.0571
O 3.2303 0.3352 2.0564
O 0.0000 3.0459 2.0571
O 3.2303 3.0459 2.0564
O 1.3538 5.0717 0.0834
O 1.8765 1.6906 4.1969
```

***

b.
The following is a DFT calculation (PBE) of crystalline ZnAg2O4 at its relaxed geometry.

Computed properties:
Size of the total moment (μB/atom): 0.421

```
14
Lattice="0.0000 4.5052 4.5052 4.5052 0.0000 4.5052 4.5052 4.5052 0.0000" Properties=species:S:1:pos:R:3 pbc="T T T"
Zn 1.1263 1.1263 1.1263
Zn 7.8840 7.8840 7.8840
Ag 4.5052 2.2526 2.2526
Ag 2.2526 4.5052 2.2526
Ag 2.2526 2.2526 4.5052
Ag 4.5052 4.5052 4.5052
O 2.2849 2.2849 2.2849
O 4.4729 4.4729 2.2849
O 4.4729 2.2849 4.4729
O 6.7255 4.5374 4.5374
O 2.2849 4.4729 4.4729
O 4.5374 6.7255 4.5374
O 4.5374 4.5374 6.7255
O 6.7255 6.7255 6.7255
```

***
~~~
2500 |
double |
rail_walkThreshold |
Maximum total walking distance for the entire route if the mode is rail-only |
3750 |
double |
walkSpeed |
Assumed walking speed |
5.0 |
double |
bikeThreshold |
Maximum total biking distance for the entire route |
10000 |
double |
rail_bikeThreshold |
Maximum total biking distance for the entire route if the mode is rail-only |
15000 |
double |
bikeSpeed |
Assumed bikimg speed |
5.0 |
double |
multimodal_dijkstra |
Determines whether *Multimodal Dijkstra Tree* is used for transit heuristics |
true |
bool |